== Work order ==
Next, repeat only the lines further down with the word "H8" in them.

== File ==
- - -
(1)
# PBE AlZnH4O2F5, optimized geometry
# **ΔE to the lowest computed polymorph**: 0.110 eV/atom
data_AlZnH4O2F5
_cell_length_a 6.843
_cell_length_b 7.453
_cell_length_c 7.453
_cell_angle_alpha 58.26
_cell_angle_beta 62.67
_cell_angle_gamma 62.67
_space_group_name_H-M_alt 'P 1'
_space_group_IT_number 1
_space_group_name_Hall 'P 1'
loop_
_atom_site_label
_atom_site_fract_x
_atom_site_fract_y
_atom_site_fract_z
O1 0.845 0.400 0.400
O2 0.855 0.900 0.900
O3 0.145 0.100 0.100
O4 0.155 0.600 0.600
F1 0.567 0.066 0.666
F2 0.433 0.334 0.934
F3 0.567 0.666 0.066
F4 0.800 0.434 0.834
F5 0.428 0.750 0.750
F6 0.200 0.166 0.566
F7 0.572 0.250 0.250
F8 0.800 0.834 0.434
F9 0.433 0.934 0.334
F10 0.200 0.566 0.166
H1 0.941 0.459 0.247
H2 0.853 0.747 0.959
H3 0.147 0.253 0.041
H4 0.853 0.959 0.747
H5 0.941 0.247 0.459
H6 0.147 0.041 0.253
H7 0.059 0.541 0.753
H8 0.059 0.753 0.541
Zn1 0.000 0.500 0.500
Zn2 0.500 0.000 0.000
Al1 0.500 0.500 0.000
Al2 0.500 0.000 0.500



(2)
First-principles (PBE) data for a geometry-optimized K2AlHgF6 structure, as listed in the Materials Project database.

The structure in CIF format:
```
data_K2AlHgF6
_cell_length_a 6.215
_cell_length_b 6.215
_cell_length_c 6.215
_cell_angle_alpha 60.00
_cell_angle_beta 60.00
_cell_angle_gamma 60.00
_space_group_name_H-M_alt 'P 1'
_space_group_IT_number 1
_space_group_name_Hall 'P 1'
loop_
_atom_site_label
_atom_site_fract_x
_atom_site_fract_y
_atom_site_fract_z
Hg1 0.500 0.500 0.500
K1 0.250 0.250 0.250
K2 0.750 0.750 0.750
Al1 0.000 0.000 0.000
F1 0.791 0.209 0.209
F2 0.791 0.791 0.209
F3 0.791 0.209 0.791
F4 0.209 0.791 0.791
F5 0.209 0.209 0.791
F6 0.209 0.791 0.209
```



(3)
First-principles (PBE) data for a geometry-optimized Li2AlHgF6 structure, as listed in the Materials Project database.

The structure in CIF format:
```
data_Li2AlHgF6
_cell_length_a 6.069
_cell_length_b 6.069
_cell_length_c 6.069
_cell_angle_alpha 60.00
_cell_angle_beta 60.00
_cell_angle_gamma 60.00
_space_group_name_H-M_alt 'P 1'
_space_group_IT_number 1
_space_group_name_Hall 'P 1'
loop_
_atom_site_label
_atom_site_fract_x
_atom_site_fract_y
_atom_site_fract_z
Li1 0.250 0.250 0.250
Li2 0.750 0.750 0.750
F1 0.787 0.213 0.213
F2 0.787 0.787 0.213
F3 0.787 0.213 0.787
F4 0.213 0.787 0.213
F5 0.213 0.787 0.787
F6 0.213 0.213 0.787
Al1 0.000 0.000 0.000
Hg1 0.500 0.500 0.500
```



(4)
First-principles (PBE) data for a geometry-optimized Na2AlHgF6 structure, as listed in the Materials Project database.

The structure in CIF format:
```
data_Na2AlHgF6
_cell_length_a 6.106
_cell_length_b 6.106
_cell_length_c 6.106
_cell_angle_alpha 60.00
_cell_angle_beta 60.00
_cell_angle_gamma 60.00
_space_group_name_H-M_alt 'P 1'
_space_group_IT_number 1
_space_group_name_Hall 'P 1'
loop_
_atom_site_label
_atom_site_fract_x
_atom_site_fract_y
_atom_site_fract_z
F1 0.212 0.788 0.212
F2 0.788 0.788 0.212
F3 0.212 0.788 0.788
F4 0.788 0.212 0.212
F5 0.212 0.212 0.788
F6 0.788 0.212 0.788
Al1 0.000 0.000 0.000
Hg1 0.500 0.500 0.500
Na1 0.750 0.750 0.750
Na2 0.250 0.250 0.250
```



(5)
# PBE AlHg2O2F5, optimized geometry
# **ΔE to the lowest computed polymorph**: 0.223 eV/atom
data_AlHg2O2F5
_cell_length_a 7.328
_cell_length_b 7.328
_cell_length_c 7.328
_cell_angle_alpha 104.78
_cell_angle_beta 104.78
_cell_angle_gamma 119.33
_space_group_name_H-M_alt 'P 1'
_space_group_IT_number 1
_space_group_name_Hall 'P 1'
loop_
_atom_site_label
_atom_site_fract_x
_atom_site_fract_y
_atom_site_fract_z
F1 0.303 0.062 0.840
F2 0.513 0.513 0.000
F3 0.963 0.722 0.160
F4 0.222 0.463 0.160
F5 0.803 0.963 0.241
F6 0.062 0.222 0.759
F7 0.013 0.013 0.000
F8 0.722 0.562 0.759
F9 0.562 0.803 0.840
F10 0.463 0.303 0.241
Hg1 0.889 0.389 0.291
Hg2 0.098 0.598 0.709
Hg3 0.598 0.889 0.500
Hg4 0.389 0.098 0.500
O1 0.685 0.185 0.942
O2 0.185 0.243 0.500
O3 0.243 0.743 0.058
O4 0.743 0.685 0.500
Al1 0.762 0.762 0.000
Al2 0.262 0.262 0.000



Summary of E (MP2020) in eV/atom
-5.195; -4.730; -4.600; -4.611; -4.091
(order as listed above)
- - -

== Outcome ==
H8 0.059 0.753 0.541